Job:
Your job: search the entries further down for the word "s_squared" and return each line that has it.

Material:
1.
{
  "formula": "C6H4ClFN2",
  "method": "ωB97M-V with the def2-TZVPD basis set",
  "de_lowest_kj_mol": 291.8,
  "total_energy_ha": -900.415445,
  "max_force_ev_per_a": 4.50,
  "homo_lumo_gap_ev": [7.76, 7.85],
  "species": ["Cl", "F", "N", "N", "C", "C", "C", "C", "C", "C", "H", "H", "H", "H"],
  "coordinates": [[-3.573, 0.373, 1.323], [1.351, -1.675, 1.024], [-3.367, -1.535, -1.725], [-1.659, 1.134, -0.262], [-2.909, -0.750, -1.011], [-2.441, 0.100, 0.015], [0.124, -1.094, 0.467], [0.452, -0.093, -0.555], [-1.006, -1.620, 0.866], [-0.439, 1.071, -0.528], [1.388, 0.401, -0.051], [1.004, -0.362, -1.465], [-1.298, -2.316, 1.627], [-0.030, 2.029, -0.843]],
  "mulliken_charge": [-0.138, -0.326, -0.395, -0.433, 0.409, 0.163, 0.567, -0.556, -0.689, -0.006, 0.252, 0.373, 0.359, 0.420]
}

---

2.
{
  "formula": "C28H30BFN11O3Pd",
  "method": "ωB97M-V with the def2-TZVPD basis set",
  "spin_multiplicity": 6,
  "de_lowest_kj_mol": 58.0,
  "charge": 4,
  "s_squared": 8.8119,
  "total_energy_ha": -2164.169902,
  "max_force_ev_per_a": 2.21,
  "homo_lumo_gap_ev": [7.08, 3.78],
  "species": ["Pd", "F", "O", "O", "O", "N", "N", "N", "N", "N", "N", "N", "N", "N", "N", "N", "C", "C", "C", "C", "C", "C", "C", "C", "C", "C", "C", "C", "C", "C", "C", "C", "C", "C", "C", "C", "C", "C", "C", "C", "C", "C", "C", "C", "B", "H", "H", "H", "H", "H", "H", "H", "H", "H", "H", "H", "H", "H", "H", "H", "H", "H", "H", "H", "H", "H", "H", "H", "H", "H", "H", "H", "H", "H", "H"],
  "coordinates": [[-0.116, 2.943, -0.662], [2.027, -3.772, -0.664], [-4.325, 1.551, -0.575], [-2.253, 2.374, -1.028], [-0.261, 0.553, -0.719], [0.734, 4.204, 2.037], [-0.018, 5.066, -0.852], [0.092, -5.764, -0.808], [-3.253, -2.282, -0.630], [2.016, 3.108, -0.560], [2.564, 6.102, 1.667], [0.709, 5.749, 0.051], [3.390, 6.764, 0.684], [-0.056, 3.266, 1.473], [0.435, -8.380, 0.210], [2.541, 4.003, 0.298], [-4.742, -3.688, -2.065], [-1.605, -4.034, -0.694], [3.018, 2.398, -1.059], [1.545, -7.787, -0.615], [3.883, 3.843, 0.335], [-0.829, -6.811, -1.291], [-3.537, -0.967, -0.665], [0.759, -3.424, -0.647], [0.511, 4.206, 3.371], [-1.200, -0.230, -0.681], [-0.899, -1.706, -0.642], [2.775, 6.589, 2.840], [3.797, 7.619, 2.718], [-0.699, 5.951, -1.571], [-2.615, 0.049, -0.711], [-0.439, 3.263, 3.674], [-4.390, -3.247, -0.654], [0.432, -2.099, -0.621], [-0.766, 2.702, 2.441], [4.109, 7.636, 1.334], [-3.068, 1.521, -0.802], [-0.250, -4.462, -0.713], [1.480, -6.263, -0.591], [-0.413, 7.246, -1.141], [0.477, 7.075, -0.116], [-1.934, -2.699, -0.652], [-0.935, -7.989, -0.320], [4.231, 2.827, -0.518], [1.625, 5.007, 1.038], [5.222, 2.465, -0.735], [-5.068, -2.841, -2.670], [2.500, -8.110, -0.204], [2.833, 1.630, -1.794], [4.814, 8.268, 0.813], [2.146, -5.901, -1.372], [-1.356, -8.843, -0.845], [-1.568, -7.765, 0.535], [-4.138, -4.084, -0.007], [1.459, -8.199, -1.618], [-1.484, 1.930, 2.212], [-0.844, 3.029, 4.645], [0.522, -9.400, 0.232], [4.520, 4.452, 0.956], [-4.593, -0.734, -0.676], [1.848, -5.872, 0.355], [0.949, 7.825, 0.499], [-5.227, -2.744, -0.178], [4.174, 8.261, 3.504], [-1.820, -6.423, -1.475], [-3.898, -4.162, -2.573], [-0.448, -7.142, -2.259], [-1.359, 5.632, -2.363], [-0.797, 8.173, -1.528], [2.263, 6.275, 3.733], [1.016, 4.866, 4.051], [0.535, -8.079, 1.182], [-5.565, -4.402, -2.026], [1.216, -1.351, -0.605], [-2.394, -4.763, -0.692]],
  "lowdin_spin": [1.481, 0.064, 0.800, 0.041, 0.111, 0.008, 0.125, 0.276, -0.012, 0.118, 0.112, 0.011, 0.219, 0.131, 0.000, 0.009, 0.000, 0.047, 0.012, 0.001, 0.004, 0.022, 0.017, 0.172, -0.001, 0.039, 0.199, 0.162, 0.435, 0.013, 0.064, 0.003, 0.000, -0.018, 0.008, 0.026, 0.084, 0.088, 0.021, 0.005, 0.004, 0.027, 0.008, 0.004, 0.005, 0.001, 0.000, 0.000, 0.001, -0.003, 0.010, 0.000, 0.000, 0.000, 0.000, 0.000, 0.001, 0.000, 0.002, 0.001, 0.006, 0.001, 0.000, 0.017, 0.000, 0.000, 0.011, 0.001, 0.001, 0.004, 0.000, 0.000, 0.000, -0.003, 0.001]
}

---

3.
{
  "formula": "C11H15Cl2NO6",
  "method": "ωB97M-V with the def2-TZVPD basis set",

Solution:
  "s_squared": 8.8119,